File >
<<<
# 1
Here is a structure of composition C3H4GaO3 in a non-equilibrium geometry from OMol25. Energies are from wB97M-V/def2-TZVPD.

Calculated values
HOMO level (alpha / beta)	-19.0773 / -19.0803	eV
relative energy (zero: lowest compared OMol25 entry of this formula, charge and spin)	3.7157	eV
net charge	+2
Kohn-Sham gap (alpha / beta)	7.4 / 6.4	eV
LUMO level (alpha / beta)	-0.429 / -0.464	Ha
2S+1	2

Atoms and positions in Å:
C (0.11130, 1.38931, 0.91606)
C (0.87437, 0.79119, -0.04537)
O (0.86575, -0.55242, -0.19279)
C (-0.22946, -1.59002, -0.02507)
O (-1.24867, -1.27149, 0.65304)
O (-0.24089, -2.18344, -1.08504)
H (-0.89282, 1.72308, 0.64443)
H (1.54305, 1.31053, -0.73843)
H (0.63494, 2.11027, 1.54809)
Ga (-0.29104, -1.54403, -2.74490)
H (-1.12652, -0.18298, 1.06997)

---

# 2
Here is a structure of composition C21H33InN2O4P2 in a non-equilibrium geometry from OMol25. Energies are from wB97M-V/def2-TZVPD.

Calculated values
HOMO level	-3.4287	eV
Kohn-Sham gap	2.9	eV
LUMO level	-0.019	Ha

Atoms and positions in Å:
C (-0.78427, -1.90974, -3.60465)
C (-0.19621, -1.44090, -2.42246)
N (-0.91064, -0.65029, -1.58993)
C (-2.19287, -0.32812, -1.84813)
C (-2.84942, -0.90279, -2.94235)
C (-2.13631, -1.70101, -3.84027)
C (1.12831, -2.04670, -1.97643)
P (1.80420, -1.39403, -0.37089)
In (-0.08069, -0.14317, 0.78720)
P (-1.91396, 1.55549, 0.21033)
C (-2.97222, 0.64492, -0.95240)
C (1.36888, 0.98210, 2.06296)
C (1.79059, 0.30235, 3.18891)
C (2.49768, 0.99066, 4.18799)
C (2.83809, 2.33654, 4.00466)
C (2.48925, 2.99264, 2.81007)
C (1.74847, 2.29913, 1.82057)
O (3.43855, 1.32566, -5.55893)
O (-0.03100, 3.74821, -3.18275)
H (-0.19606, -2.56791, -4.22612)
H (-3.90499, -0.66132, -3.08294)
H (-2.63528, -2.15365, -4.69775)
C (2.32612, -3.03888, 0.22501)
C (3.29527, -0.40287, -0.62376)
H (-3.52512, 1.36831, -1.58459)
H (-3.72412, 0.07751, -0.37531)
H (1.86744, -2.14262, -2.74685)
H (0.98326, -3.09859, -1.66028)
C (-2.83920, 2.27068, 1.59057)
C (-1.41968, 3.05353, -0.66197)
H (1.57544, -0.75814, 3.31573)
H (2.77810, 0.46089, 5.09771)
H (3.38035, 2.87654, 4.78904)
H (2.79582, 4.03560, 2.64790)
H (1.47491, 2.79086, 0.87620)
H (0.64895, 3.86467, -2.52636)
H (-0.19674, 4.63906, -3.55799)
H (3.87424, 1.06099, -4.77385)
H (2.47610, 1.20283, -5.50359)
H (4.48715, 4.60350, -2.19874)
H (3.09321, -3.33929, -0.50819)
H (2.74939, -3.10033, 1.23140)
H (1.46323, -3.72094, 0.17529)
H (4.13405, -1.10668, -0.73694)
H (3.14691, 0.21793, -1.52250)
H (3.51010, 0.25485, 0.23346)
H (-2.29074, 3.52248, -1.16076)
H (-1.03928, 3.81893, 0.04147)
H (-0.65655, 2.74519, -1.39549)
H (-3.56342, 2.98895, 1.16693)
H (-3.32925, 1.48768, 2.18844)
H (-2.10602, 2.81017, 2.21629)
O (-1.03898, -3.51611, 0.18345)
C (-1.50699, -3.03423, 1.21081)
C (-2.43608, -3.70905, 2.20727)
C (-2.60237, -2.71693, 3.33496)
C (-1.85681, -1.47936, 2.87476)
O (-1.80979, -0.37373, 3.41330)
N (-1.22072, -1.76731, 1.68636)
H (-3.38843, -3.91616, 1.71519)
H (-2.00933, -4.66122, 2.53580)
H (-3.64673, -2.46842, 3.53948)
H (-2.15377, -3.07840, 4.26367)

---

# 3
Here is the ion C3H8N5 with charge +1 in a non-equilibrium geometry from OMol25. Energies are from wB97M-V/def2-TZVPD.

Calculated values
HOMO level	-14.3360	eV
relative energy (zero: lowest compared OMol25 entry of this formula, charge and spin)	1.3236	eV
net charge	+1
Kohn-Sham gap	9.6	eV
SMILES	N[C@@H]1[NH+]=CN=CN1N
LUMO level	-0.173	Ha

Atoms and positions in Å:
C (-1.09897, 1.27005, -0.43402)
C (-0.86428, -0.53652, -1.88301)
C (0.21596, -0.58578, 0.36958)
N (-1.18029, 0.75870, -1.63988)
N (-0.44701, 0.66845, 0.54099)
N (-0.36989, -1.30626, -0.95498)
N (1.60283, -0.52886, 0.41907)
N (-0.02821, 1.40467, 1.65736)
H (-1.37838, 2.29468, -0.33806)
H (-1.21903, -1.01693, -2.75012)
H (-0.11080, -1.31621, 1.21523)
H (0.01917, -2.22025, -1.15464)
H (2.10059, -0.11498, -0.31904)
H (2.04843, -1.29004, 0.96565)
H (-0.31088, 1.02747, 2.59696)
H (1.02077, 1.49180, 1.70892)

---

# 4
>>>
Request >
Next, search the listing further above for the word "geometry" and print each line that has it.
Result >
Here is a structure of composition C3H4GaO3 in a non-equilibrium geometry from OMol25. Energies are from wB97M-V/def2-TZVPD.
Here is a structure of composition C21H33InN2O4P2 in a non-equilibrium geometry from OMol25. Energies are from wB97M-V/def2-TZVPD.
Here is the ion C3H8N5 with charge +1 in a non-equilibrium geometry from OMol25. Energies are from wB97M-V/def2-TZVPD.